Job:
Please echo only the last part of the calculation results below, starting with the line that has "0.736 [2".

Material:
┌──
Entry 1:
This entry pairs a crystal structure of BaLa2WO7 with its computed powder diffractogram. Radiation: Cu Kα, 1.54184 Å. Structure: a GGA+U-relaxed structure.
Intensities are scaled so that the largest is 100.

Atomic structure:
a b c (Å): 9.035 5.900 12.994
angles (deg): 90.00 105.28 90.00
Space group Pc (No. 7)
Unique sites:
Ba 0.000 0.231 0.000 [2 per cell]
Ba 0.035 0.265 0.730 [2 per cell]
La 0.323 0.238 0.281 [2 per cell]
La 0.452 0.268 0.996 [2 per cell]
La 0.585 0.230 0.736 [2 per cell]
La 0.713 0.264 0.449 [2 per cell]
W 0.236 0.277 0.526 [2 per cell]
W 0.797 0.226 0.203 [2 per cell]
O 0.012 0.233 0.207 [2 per cell]
O 0.018 0.279 0.520 [2 per cell]
O 0.214 0.490 0.406 [2 per cell]
O 0.223 0.019 0.431 [2 per cell]
O 0.258 0.443 0.116 [2 per cell]
O 0.277 0.091 0.656 [2 per cell]
O 0.460 0.299 0.548 [2 per cell]
O 0.513 0.487 0.856 [2 per cell]
O 0.523 0.011 0.876 [2 per cell]
O 0.572 0.206 0.188 [2 per cell]
O 0.748 0.400 0.070 [2 per cell]
O 0.772 0.058 0.615 [2 per cell]
O 0.810 0.488 0.296 [2 per cell]
O 0.825 0.012 0.324 [2 per cell]

Most intense lines, 2θ = 15–90°, in order of rising 2θ:
hkl 2 1 1, 2θ 27.84, intensity 100
hkl 0 0 4, 2θ 28.48, intensity 32
hkl 2 1 -3, 2θ 29.59, intensity 81
hkl 0 2 0, 2θ 30.30, intensity 47
hkl 4 0 -2, 2θ 40.07, intensity 21
hkl 0 2 4, 2θ 42.07, intensity 31

---

Entry 2:
This entry pairs a crystal structure of BaLa2WO7 with its computed powder diffractogram. Radiation: Cu Kα, 1.54184 Å. Structure: a GGA+U-relaxed structure.
Intensities are scaled so that the largest is 100.

Atomic structure:
a b c (Å): 9.017 5.896 12.991
angles (deg): 90.00 105.25 90.00
Space group P2_1/c (No. 14)
Unique sites:
Ba 0.017 0.008 0.366 [4 per cell]
La 0.305 0.511 0.415 [4 per cell]
La 0.433 0.017 0.630 [4 per cell]
W 0.219 0.024 0.162 [4 per cell]
O 0.003 0.023 0.158 [4 per cell]
O 0.191 0.237 0.040 [4 per cell]
O 0.208 0.735 0.566 [4 per cell]
O 0.246 0.192 0.749 [4 per cell]
O 0.263 0.655 0.793 [4 per cell]
O 0.444 0.043 0.180 [4 per cell]
O 0.493 0.238 0.492 [4 per cell]

Most intense lines, 2θ = 15–90°, in order of rising 2θ:
hkl 2 1 1, 2θ 27.88, intensity 100
hkl 0 0 4, 2θ 28.49, intensity 32
hkl 2 1 -3, 2θ 29.62, intensity 81
hkl 0 2 0, 2θ 30.32, intensity 47
hkl 4 0 -2, 2θ 40.16, intensity 21
hkl 0 2 4, 2θ 42.08, intensity 31

---

Entry 3:
This entry pairs a crystal structure of Ba2La2ZnW2O12 with its computed powder diffractogram. Radiation: Cu Kα, 1.54184 Å. Structure: a GGA+U-relaxed structure.
Intensities are scaled so that the largest is 100.

Atomic structure:
a b c (Å): 5.6857 5.6857 27.3732
angles (deg): 90.00 90.00 120.00
Space group R-3m (No. 166, hexagonal axes)
Unique sites:
Ba 0.0000 0.0000 0.2097 [6 per cell]
La 0.0000 0.0000 0.3650 [6 per cell]
Zn 0.0000 0.0000 0.5000 [3 per cell]
W 0.0000 0.0000 0.0770 [6 per cell]
O 0.0009 0.5004 0.3729 [18 per cell]
O 0.0062 0.5031 0.7852 [18 per cell]

Most intense lines, 2θ = 15–90°, in order of rising 2θ:
hkl 1 0 7, 2θ 29.16, intensity 100
hkl 1 1 0, 2θ 31.47, intensity 87
hkl 0 2 7, 2θ 43.43, intensity 54
hkl 0 1 14, 2θ 50.20, intensity 19
hkl 2 1 7, 2θ 54.61, intensity 35
hkl 3 0 0, 2θ 56.03, intensity 17

---

Entry 4:
This entry pairs a crystal structure of Ba2LiMn2O6 with its computed powder diffractogram. Radiation: Cu Kα, 1.54184 Å. Structure: a GGA+U-relaxed structure.
Intensities are scaled so that the largest is 100.

Atomic structure:
a b c (Å): 5.266 5.736 10.120
angles (deg): 90.00 90.00 90.00
Space group Amm2 (No. 38)
Unique sites:
Ba 0.000 0.000 0.000 [2 per cell]
Ba 0.500 0.000 0.356 [2 per cell]
Li 0.000 0.000 0.323 [2 per cell]
Mn 0.255 0.000 0.673 [4 per cell]
O 0.000 0.000 0.501 [2 per cell]
O 0.000 0.227 0.738 [4 per cell]
O 0.500 0.000 0.836 [2 per cell]
O 0.500 0.224 0.606 [4 per cell]

Most intense lines, 2θ = 15–90°, in order of rising 2θ:
hkl 1 0 2, 2θ 24.40, intensity 39
hkl 1 1 1, 2θ 24.58, intensity 100
hkl 0 1 3, 2θ 30.75, intensity 79
hkl 0 2 0, 2θ 31.19, intensity 39
└──

Worked solution:
La 0.585 0.230 0.736 [2 per cell]
La 0.713 0.264 0.449 [2 per cell]
W 0.236 0.277 0.526 [2 per cell]
W 0.797 0.226 0.203 [2 per cell]
O 0.012 0.233 0.207 [2 per cell]
O 0.018 0.279 0.520 [2 per cell]
O 0.214 0.490 0.406 [2 per cell]
O 0.223 0.019 0.431 [2 per cell]
O 0.258 0.443 0.116 [2 per cell]
O 0.277 0.091 0.656 [2 per cell]
O 0.460 0.299 0.548 [2 per cell]
O 0.513 0.487 0.856 [2 per cell]
O 0.523 0.011 0.876 [2 per cell]
O 0.572 0.206 0.188 [2 per cell]
O 0.748 0.400 0.070 [2 per cell]
O 0.772 0.058 0.615 [2 per cell]
O 0.810 0.488 0.296 [2 per cell]
O 0.825 0.012 0.324 [2 per cell]

Most intense lines, 2θ = 15–90°, in order of rising 2θ:
hkl 2 1 1, 2θ 27.84, intensity 100
hkl 0 0 4, 2θ 28.48, intensity 32
hkl 2 1 -3, 2θ 29.59, intensity 81
hkl 0 2 0, 2θ 30.30, intensity 47
hkl 4 0 -2, 2θ 40.07, intensity 21
hkl 0 2 4, 2θ 42.07, intensity 31

---

Entry 2:
This entry pairs a crystal structure of BaLa2WO7 with its computed powder diffractogram. Radiation: Cu Kα, 1.54184 Å. Structure: a GGA+U-relaxed structure.
Intensities are scaled so that the largest is 100.

Atomic structure:
a b c (Å): 9.017 5.896 12.991
angles (deg): 90.00 105.25 90.00
Space group P2_1/c (No. 14)
Unique sites:
Ba 0.017 0.008 0.366 [4 per cell]
La 0.305 0.511 0.415 [4 per cell]
La 0.433 0.017 0.630 [4 per cell]
W 0.219 0.024 0.162 [4 per cell]
O 0.003 0.023 0.158 [4 per cell]
O 0.191 0.237 0.040 [4 per cell]
O 0.208 0.735 0.566 [4 per cell]
O 0.246 0.192 0.749 [4 per cell]
O 0.263 0.655 0.793 [4 per cell]
O 0.444 0.043 0.180 [4 per cell]
O 0.493 0.238 0.492 [4 per cell]

Most intense lines, 2θ = 15–90°, in order of rising 2θ:
hkl 2 1 1, 2θ 27.88, intensity 100
hkl 0 0 4, 2θ 28.49, intensity 32
hkl 2 1 -3, 2θ 29.62, intensity 81
hkl 0 2 0, 2θ 30.32, intensity 47
hkl 4 0 -2, 2θ 40.16, intensity 21
hkl 0 2 4, 2θ 42.08, intensity 31

---

Entry 3:
This entry pairs a crystal structure of Ba2La2ZnW2O12 with its computed powder diffractogram. Radiation: Cu Kα, 1.54184 Å. Structure: a GGA+U-relaxed structure.
Intensities are scaled so that the largest is 100.

Atomic structure:
a b c (Å): 5.6857 5.6857 27.3732
angles (deg): 90.00 90.00 120.00
Space group R-3m (No. 166, hexagonal axes)
Unique sites:
Ba 0.0000 0.0000 0.2097 [6 per cell]
La 0.0000 0.0000 0.3650 [6 per cell]
Zn 0.0000 0.0000 0.5000 [3 per cell]
W 0.0000 0.0000 0.0770 [6 per cell]
O 0.0009 0.5004 0.3729 [18 per cell]
O 0.0062 0.5031 0.7852 [18 per cell]

Most intense lines, 2θ = 15–90°, in order of rising 2θ:
hkl 1 0 7, 2θ 29.16, intensity 100
hkl 1 1 0, 2θ 31.47, intensity 87
hkl 0 2 7, 2θ 43.43, intensity 54
hkl 0 1 14, 2θ 50.20, intensity 19
hkl 2 1 7, 2θ 54.61, intensity 35
hkl 3 0 0, 2θ 56.03, intensity 17

---

Entry 4:
This entry pairs a crystal structure of Ba2LiMn2O6 with its computed powder diffractogram. Radiation: Cu Kα, 1.54184 Å. Structure: a GGA+U-relaxed structure.
Intensities are scaled so that the largest is 100.

Atomic structure:
a b c (Å): 5.266 5.736 10.120
angles (deg): 90.00 90.00 90.00
Space group Amm2 (No. 38)
Unique sites:
Ba 0.000 0.000 0.000 [2 per cell]
Ba 0.500 0.000 0.356 [2 per cell]
Li 0.000 0.000 0.323 [2 per cell]
Mn 0.255 0.000 0.673 [4 per cell]
O 0.000 0.000 0.501 [2 per cell]
O 0.000 0.227 0.738 [4 per cell]
O 0.500 0.000 0.836 [2 per cell]
O 0.500 0.224 0.606 [4 per cell]

Most intense lines, 2θ = 15–90°, in order of rising 2θ:
hkl 1 0 2, 2θ 24.40, intensity 39
hkl 1 1 1, 2θ 24.58, intensity 100
hkl 0 1 3, 2θ 30.75, intensity 79
hkl 0 2 0, 2θ 31.19, intensity 39